Peter Russell: A Crisis of Acceleration
Peter Russell: A Crisis of Acceleration
Catherine Ingram’s conversation with Peter Russell focusing on the exponential acceleration of change and the life-threatening problems that ensue as a result.
In this engaging conversation, they address how easily we fall into denial as to the impact of accelerating change and global warming.
Catherine and Peter also discuss the perspectives that foster inner calm in the face of these dire threats.
How will you be prepared for the accelerating rate of change?
Peter Russell is on the faculty of the Institute of Noetic Sciences, and a fellow of The World Business Academy and The Findhorn Foundation, and an Honorary Member of The Club of Budapest.
At Cambridge University (UK), he studied mathematics and theoretical physics. Then, as he became increasingly fascinated by the mysteries of the human mind he changed to experimental psychology. Pursuing this interest, he traveled to India to study meditation and eastern philosophy, and on his return took up the first research post ever offered in Britain on the psychology of meditation.
He also has a post-graduate degree in computer science, and conducted some of the early work on 3-dimensional displays, presaging by some twenty years the advent of virtual reality.
As one of the more revolutionary futurists Peter Russell has been a keynote speaker at many international conferences, in Europe, Japan and the USA. His multi-image shows and videos, The Global Brain and The White Hole in Time have won praise and prizes from around the world. In 1993 the environmental magazine Buzzworm voted Peter Russell “Eco-Philosopher Extraordinaire” of the year.
-- Inserted here: data records --
+++
No. 1
Molecular formula: C40H68BBrCsF5Mg2N7O20P
Method: DFT, ωB97M-V with the def2-TZVPD basis set

The value obtained for the HOMO-LUMO gap is 1.212 eV. As for the charge: 0. The calculation puts the lowest unoccupied orbital energy at -5.4 eV.

Geometry (Å):
C: -4.7203 3.6376 -3.7031
C: -4.8949 2.2585 -4.3229
O: -3.7025 1.8027 -4.9990
P: -2.6928 0.9300 -4.0776
O: -3.0107 1.0391 -2.6489
C: -0.9330 1.2564 -4.4228
C: -0.6511 2.5911 -5.1274
C: 0.3620 3.4486 -4.4289
O: 0.8801 4.4254 -5.3350
C: -0.1008 5.2411 -5.8961
Br: 0.8919 6.7583 -6.6516
C: -1.1628 5.8197 -4.8883
O: -0.9189 7.1464 -4.5332
N: -1.3857 4.9560 -3.6715
C: -0.1577 4.2594 -3.2012
C: 0.9796 5.2494 -2.8384
C: 0.9411 5.7935 -1.4088
C: -0.2318 6.7521 -1.1147
C: 0.0752 7.8068 -0.0455
N: 0.7493 7.1899 1.1043
C: 0.3048 7.7420 2.3404
N: 0.1567 6.9549 3.3114
N: 0.0909 9.1652 2.4075
C: -0.4739 3.3357 -2.0229
C: 0.6809 2.4154 -1.5660
C: 0.9515 2.3996 -0.0607
N: -0.2428 2.2565 0.7553
C: -0.3078 3.1969 1.8804
C: 0.1747 2.4095 3.0816
C: -0.4351 1.1922 3.2655
C: -0.0536 0.3643 4.2533
C: 0.9796 0.7364 5.1026
C: 1.5451 1.9603 4.9263
C: 1.1665 2.8169 3.9128
O: 1.7885 4.0371 3.7197
O: -2.9720 -0.7167 -4.4793
C: -3.8905 -1.2765 -3.5091
C: -4.4249 -2.6451 -4.0891
H: -3.9557 3.6413 -2.9182
H: -4.5324 4.3934 -4.4729
H: -5.6502 3.9466 -3.2207
H: -5.6498 2.3794 -5.1026
H: -5.3108 1.5549 -3.6072
H: -0.4024 1.1010 -3.4829
H: -0.5973 0.4545 -5.0896
H: -0.1657 2.3208 -6.1351
H: -1.6154 3.0798 -5.3543
H: 1.1858 2.7771 -4.1461
H: -0.5873 4.7812 -6.7522
H: -2.1168 5.8415 -5.4266
H: -1.7604 7.4832 -4.1967
H: -1.6699 5.5954 -2.9183
H: -2.1758 4.3088 -3.7671
H: 1.9173 4.6587 -2.9338
H: 1.0902 6.0802 -3.5333
H: 1.8612 6.3750 -1.2691
H: 0.9580 5.0319 -0.6330
H: -0.6415 7.1867 -2.0340
H: -1.0519 6.1363 -0.7099
H: -0.8855 8.2209 0.2647
H: 0.6184 8.6437 -0.4988
H: 1.7453 7.3282 0.9808
H: -0.1608 7.5273 4.0951
H: -0.8774 9.3535 2.1726
H: 0.2345 9.4731 3.3606
H: -0.8141 3.8985 -1.1469
H: -1.3077 2.6733 -2.2833
H: 0.5366 1.3761 -1.8660
H: 1.6484 2.7009 -2.0417
H: 1.5667 3.2370 0.2864
H: 1.5795 1.5154 0.1134
H: -1.0963 2.2117 0.2196
H: 0.2902 4.1069 1.7515
H: -1.3433 3.5283 2.0154
H: -1.2213 0.8912 2.5894
H: -0.5479 -0.5928 4.3411
H: 1.3334 0.0785 5.8827
H: 2.3506 2.2850 5.5763
H: 1.3979 4.6374 4.3632
H: -3.3849 -1.4781 -2.5697
H: -4.7693 -0.6286 -3.3332
H: -3.5796 -3.2767 -4.3477
H: -5.1077 -2.4099 -4.9469
H: -5.0463 -3.1074 -3.2467
F: 1.1960 1.6203 -6.2843
Cs: -7.0057 -2.9775 -3.7958
C: 4.6259 1.9972 0.5876
O: 5.0937 1.2698 1.4596
O: 3.4206 2.6136 0.8979
O: 5.1054 2.2468 -0.5498
H: 3.3227 2.2340 1.7881
C: -3.8182 -8.5790 -1.2042
C: -4.0580 -7.2206 -1.5879
C: -3.1150 -6.6896 -2.6415
O: -3.2289 -5.5819 -3.1239
C: -2.0288 -7.5515 -3.0747
C: -1.7754 -8.9095 -2.6850
C: -2.7842 -9.4815 -1.7068
O: -2.7715 -10.6254 -1.3261
O: -0.8616 -9.5967 -3.0679
O: -4.9293 -6.4988 -1.1543
H: -4.4643 -9.0338 -0.4586
H: -1.3525 -7.0775 -3.7799
Mg: 3.0976 3.4030 -3.4027
Mg: -2.4022 -0.3234 -6.5627
C: 3.3651 -5.0055 5.8925
C: 3.0548 -3.5274 5.7007
+++
-- The entry goes on --
Catherine Ingram is an international dharma teacher with communities in the U.S., Europe, and Australia. Since 1992 she has led Dharma Dialogues, which are public events that focus on directing awareness toward greater wellbeing in an ethical and happy life. Catherine also leads numerous silent retreats each year in conjunction with Dharma Dialogues. She is president of Living Dharma, an educational non-profit organization founded in 1995.
Catherine has been the subject of numerous print, television, and radio interviews and is included in several anthologies about teachers in the west.
A former journalist specializing in issues of consciousness and activism, Catherine Ingram is the author of two books of nonfiction, which are published in numerous languages: In the Footsteps of Gandhi: Conversations with Spiritual/Social Activists (Parallax Press, 1990) and Passionate Presence: Seven Qualities of Awakened Awareness (Penguin Putnam, 2003); and one novel, A Crack in Everything (Diamond Books, 2006).
His principal interest is the deeper, spiritual significance of the times we are passing through. His work seeks to distill the essence of the world’s spiritual traditions and present it in ways relevant to the current times.